The Wife
15¦ Blu-ray, DVDIt’s rare that a scene from a film gives birth to a phrase used in common parlance, but that’s exactly what happened in Brit Adrian Lyne’s 1988 film Fatal Attraction.
=====
# 1
Calculated powder X-ray diffraction pattern
Compound: Tm5Ge2Pb
Radiation: Cu Kα
Structure: a PBE-relaxed structure

Atomic structure:
Unit cell a=7.8443 b=7.8443 c=13.2582 alpha=90.00 beta=90.00 gamma=90.00
Space group I4/mcm (No. 140)
Inequivalent atoms, fractional coordinates:
Tm 0.0000 0.0000 0.0000 (multiplicity 4)
Tm 0.1529 0.3471 0.1412 (multiplicity 16)
Ge 0.1502 0.3498 0.5000 (multiplicity 8)
Pb 0.0000 0.0000 0.2500 (multiplicity 4)

Top 6 peaks for 2θ from 10° to 80°, in order of rising 2θ:
26.28 deg, 3.391 Å, intensity 23; 31.44 deg, 2.845 Å, intensity 45; 32.59 deg, 2.748 Å, intensity 100; 35.46 deg, 2.532 Å, intensity 35; 36.21 deg, 2.481 Å, intensity 78; 57.04 deg, 1.615 Å, intensity 21

# 2
Calculated powder X-ray diffraction pattern
Compound: Tl2AuO4
Radiation: Cu Kα
Structure: a PBE-relaxed structure

Atomic structure:
Unit cell a=5.7486 b=11.2668 c=3.2420 alpha=90.00 beta=90.00 gamma=90.00
Space group Cmmm (No. 65)
Inequivalent atoms, fractional coordinates:
Tl 0.0000 0.1713 0.0000 (multiplicity 4)
Au 0.0000 0.5000 0.5000 (multiplicity 2)
O 0.2362 0.5000 0.0000 (multiplicity 4)
O 0.2500 0.2500 0.5000 (multiplicity 4)

Top 6 peaks for 2θ from 10° to 80°, in order of rising 2θ:
28.39 deg, 3.144 Å, intensity 100; 31.12 deg, 2.874 Å, intensity 31; 31.84 deg, 2.810 Å, intensity 27; 32.69 deg, 2.739 Å, intensity 58; 45.12 deg, 2.009 Å, intensity 37; 53.66 deg, 1.708 Å, intensity 29

# 3
Calculated powder X-ray diffraction pattern
Compound: Na7SbO6
Radiation: Cu Kα
Structure: a PBE-relaxed structure

Atomic structure:
Unit cell a=6.5093 b=6.5093 c=15.5267 alpha=90.00 beta=90.00 gamma=120.00
Space group R3 (No. 146, hexagonal axes)
Inequivalent atoms, fractional coordinates:
Na 0.0000 0.0000 0.0000 (multiplicity 3)
Na 0.0663 0.3398 0.8811 (multiplicity 9)
Na 0.0813 0.6856 0.0906 (multiplicity 9)
Sb 0.0000 0.0000 0.6521 (multiplicity 3)
O 0.0380 0.2861 0.7266 (multiplicity 9)
O 0.0724 0.6682 0.2445 (multiplicity 9)

Top 6 peaks for 2θ from 10° to 80°, in order of rising 2θ:
16.73 deg, 5.299 Å, intensity 100; 19.46 deg, 4.562 Å, intensity 66; 27.91 deg, 3.197 Å, intensity 32; 32.50 deg, 2.755 Å, intensity 75; 44.74 deg, 2.026 Å, intensity 64; 48.44 deg, 1.879 Å, intensity 30

# 4
Calculated powder X-ray diffraction pattern
Compound: PaSeBr3
Radiation: Cu Kα
Structure: a PBE-relaxed structure

Atomic structure:
Unit cell a=7.6384 b=15.2686 c=14.2250 alpha=90.00 beta=96.72 gamma=90.00
Space group C2/c (No. 15)
Inequivalent atoms, fractional coordinates:
Pa 0.0822 0.0612 0.1390 (multiplicity 8)
Se 0.1428 0.1928 0.2918 (multiplicity 8)
Br 0.1304 0.3687 0.9260 (multiplicity 8)
Br 0.1367 0.1007 0.5369 (multiplicity 8)
Br 0.2268 0.0370 0.8022 (multiplicity 8)

Top 6 peaks for 2θ from 10° to 80°, in order of rising 2θ:
11.59 deg, 7.634 Å, intensity 52; 13.03 deg, 6.794 Å, intensity 100; 13.18 deg, 6.716 Å, intensity 50; 27.89 deg, 3.199 Å, intensity 22; 37.09 deg, 2.424 Å, intensity 25; 39.68 deg, 2.271 Å, intensity 22

# 5
=====
Not only did the scene in particular, and the film in general, make a star out of Glenn Close virtually overnight, but her character’s actions led to the term ‘Bunny Boiler’ added to our general lexicon.
Since then Close has gone on to be rightly considered one of the finest actors of her generation. But despite numerous Oscar nominations – her performance in this film marks her seventh to date – she is yet to walk off with a gold statue under arm. Will her role as supportive wife Joan Castleman mean seventh time a charm?

Listen Slater we agreed, you would have Glenn every other weekday!
Connecticut, 1992, and mature couple Joseph (Jonathan Pryce) and Joan (Close) are just settling into bed when they get an unexpected phone call. It’s Stockholm calling, with some excellent news: Joseph has been selected as that year’s recipient of the Nobel Prize for Literature.
It’s December now, and the pair make their way to the chilly climes of Sweden for the presentation. They’re not alone however, as their son David (Max Irons), who is also trying to make a name for himself as a writer, has joined them. Also in tow is Nathan (Christian Slater), an ambitious writer who is keen to write a biography on Joseph’s life.
During their visit, a long held secret the couple share looks like it’s been uncovered by Nathan, which not only has the capacity to destroy all of Joseph’s achievements to date, but also their relationship.

I don't care if she has multiple Oscar nominations, she won't stop farting!
It’s not every day that a drama comes along with its principle cast in the later stages of life. This film is essentially a two-hander, featuring two established actors in their seventies, both of whom deliver solid performances. Yes Close is the one with all the Oscar buzz, but that shouldn’t take anything away from Pryce who matches her, scene for scene.
Unfortunately their good work is slightly undone by a Ryvita dry script, and some pedestrian direction. It’s as if Swedish director Björn L Runge (helming his first English language film) was attempting to channel Bergman, but it just doesn’t work with your two central characters being American.
The film as a whole is akin to an IKEA Billy bookcase; sure it’s practical and does the job, but aesthetically, it’s all rather bland and dull.
It’s not an Oscar worthy performance by any stretch of the imagination, and with some strong contenders in the Best Leading Actress category this year, the only way Close will pick up Oscar is if the Academy decides to right several wrongs of the past, where she had a legitimate claim to win. Which may just happen.
If only these actors could have been unleashed to really push the material for this project to have a chance of realising its potential, for better or worse.